Marwan Salem bin Haider, VP and CIO at DEWA, explains how the utilities provider has embraced e-services, and is taking its online offerings beyond just payment options and green awareness.
Dubai’s mandate for eGovernment has been in place for sometime, but in terms of embracing online services, Dubai Electricity and Water Authority’s (DEWA), has been one of the leaders. With a wide range of applications available to customers, Marwan Salem bin Haider, chief information officer, has been responsible for driving the latest eService creations, and building the inhouse capability to deliver.
“DEWA’s core business is to deliver electricity and water, and ultimately at the end of a month, a bill has to be paid. So far we have around 13 methods of payment, and all of our methods are listed on our website. Customers can pay through the site, with mobile payments, through banks, Etisalat machines, for example, as well as at our offices.”
DEWA’s approach to creating these payment options was to keep everything in-house – retaining control over development and final design.
Next to the article, the page also holds calculated crystals:
<<<
A relaxed BaBe4Tl crystal. Source: Alexandria via LeMat-Bulk, functional PBE-GGA.

Computed properties:
- Total magnetic moment: 0.000 μB/atom
- DOS(E_F): 12.3 states/eV per cell
- Calculated total energy: -2.490 eV per atom

abc: 7.667 7.667 7.667
angles: 90.00 90.00 90.00
Space group F-43m (No. 216)
Inequivalent atoms, fractional coordinates:
Ba (0.000, 0.000, 0.000) (multiplicity 4)
Be (0.107, 0.107, 0.607) (multiplicity 16)
Tl (0.250, 0.250, 0.250) (multiplicity 4)



A relaxed ZnCd2N crystal. Source: Alexandria via LeMat-Bulk, functional PBE-GGA.

Computed properties:
- Uncorrected formation energy: 0.58 eV/atom
- Total magnetic moment: 0.000 μB/atom
- DOS(E_F): 8.4 states/eV per cell
- Calculated total energy: -2.280 eV per atom
- ΔE to the lowest computed polymorph: 0 meV/atom

abc: 6.152 6.152 9.544
angles: 90.00 90.00 90.00
Space group I-42d (No. 122)
Inequivalent atoms, fractional coordinates:
Zn (0.000, 0.000, 0.000) (multiplicity 4)
Cd (0.155, 0.250, 0.625) (multiplicity 8)
N (0.000, 0.000, 0.500) (multiplicity 4)



A relaxed Ba3SrLi8 crystal. Source: Alexandria via LeMat-Bulk, functional PBE-GGA.

Computed properties:
- Total magnetic moment: 0.000 μB/atom
- DOS(E_F): 29.7 states/eV per cell
- Calculated total energy: -1.868 eV per atom
- ΔE to the lowest computed polymorph: 10 meV/atom

abc: 6.5913 6.5913 32.2732
angles: 90.00 90.00 120.00
Space group R3m (No. 160, hexagonal axes)
Inequivalent atoms, fractional coordinates:
Ba (0.0000, 0.0000, 0.0000) (multiplicity 3)
Ba (0.0000, 0.0000, 0.1257) (multiplicity 3)
Ba (0.0000, 0.0000, 0.5003) (multiplicity 3)
Sr (0.0000, 0.0000, 0.6249) (multiplicity 3)
Li (0.0000, 0.0000, 0.3113) (multiplicity 3)
Li (0.0000, 0.0000, 0.8132) (multiplicity 3)
Li (0.1681, 0.3362, 0.3951) (multiplicity 9)
Li (0.1682, 0.3364, 0.8973) (multiplicity 9)
>>>
So much for the calculated crystals:
“As I tell my people – it is ‘to be or not to be’. Either we will do it ourselves or we’ll never do it. We are the only government department available on so many devices, and this has all been done internally. We never paid even one dirham for any outsider. We have saved hundreds of thousands of dirhams.”
The adoption of eServices has really taken off for DEWA, with 53.7% of its customer base using the online services during H1 of this year. However, there are plans to push this even higher.
“We would like to increase it as much as possible. We actually tried to get a benchmark with other countries [on eAdoption rates]. 53% is a big achievement. When you consider the 2.1 million online transactions in 2011 – that’s 2.1 million customers who avoided visits to a DEWA office. That’s huge.”
Keeping track
One of the most interesting new eServices now available allows customers to log in to DEWA’s website to track their own energy consumption. Customers are presented with an online graph that provides an easy visual medium to compare their water and electricity consumption over time. By providing a means to track their own usage, comparing it on a monthly or yearly basis, DEWA believes that customers will be encouraged to seek ways to lower their monthly consumption.
“As they say – you cannot improve what you can’t quantify; what you can’t measure. This will, for sure, help people to see what they are doing and I can guarantee that the consumption will go down for many people. People will want to keep consumption down.
“We also don’t just show them the problem. We also provide a lot of conservation advice on how to bring consumption down. Beyond DEWA’s water pipe and meter, it’s the customer’s responsibility. It goes back to the behavior of the people who live in the house. Usually the owner doesn’t think about these things, but now he can easily see what he is using and will know when he is paying more.”
The “eConsumption Graph” was soft-launched at the beginning of August, and with no fanfare for its launch, attracted 7,000 users within the first two weeks.
Staying Green
The ‘Green Bill’ offering is a straightforward effort to encourage customers to switch from receiving paper bill to receiving electronic versions of their monthly usage via their email accounts. The basic idea is that, with a customer base of over 600,000 accounts, there is a substantial amount of paper that could be saved by cutting out physical bills.
“At the beginning, it will be an optional service. What I am heading now in DEWA is the ‘e-adoption enforcement committee’ – I added the word ‘enforcement’ because sometimes you need to enforce what is good for people. It is like what Ford said when he invented the car; he said that if he had asked people what they wanted, they would have asked for a faster horse. Nobody would have asked for a car. But he said he knew it should have been invented.”
One group that will not be given the option to adopt the service is DEWA employees, who will be compulsorily enrolled in the scheme from this November, so that DEWA can prove it believes in its own solutions.
“We need to walk the talk. We discontinued salary slips two years ago – so no more paper – and people at first resisted, but they got used to it. It is also another way of marketing the scheme – our 8,000 staff will be ambassadors and hopefully this will tell people that DEWA knows it’s good.”
Automated payments
DEWA’s other principle new eService has seen the launch of its AutoPay mPay service, which allows customers to have their monthly bills paid through the mPay gateway automatically, within set parameters, instead of on a one-time monthly basis.
Between two parts of the entry: data records:
P | 4
Lattice="0.000 3.740 3.740 3.740 0.000 3.740 3.740 3.740 0.000" Properties=species:S:1:pos:R:3 comment="GGA-PBE Li2EuSc, relaxed" m_tot_mub_per_fu=7.7 sg="Fm-3m (225)" pbc="T T T"
Li 1.870 1.870 1.870
Li 5.610 5.610 5.610
Eu 0.000 0.000 0.000
Sc 3.740 3.740 3.740



Q | 4
Lattice="3.700 0.000 0.000 0.000 3.700 0.000 0.000 0.000 7.618" Properties=species:S:1:pos:R:3 comment="GGA-PBE Li2EuSc, relaxed" m_tot_mub_per_fu=7.6 sg="P4/mmm (123)" pbc="T T T"
Li 0.000 0.000 1.624
Li 0.000 0.000 5.994
Eu 1.850 1.850 3.809
Sc 1.850 1.850 0.000



Relative to the most stable structure, the computed energies are P 0.029; Q 0.000, all in eV/atom.



P | 4
Lattice="3.713 0.000 0.000 0.000 3.713 0.000 0.000 0.000 9.242" Properties=species:S:1:pos:R:3 comment="GGA-PBE LiEu2Sc, relaxed" m_tot_mub_per_fu=15.9 sg="P4/mmm (123)" pbc="T T T"
Li 0.000 0.000 0.000
Eu 1.857 1.857 2.240
Eu 1.857 1.857 7.002
Sc 0.000 0.000 4.621



Q | 4
Lattice="5.766 0.000 0.000 0.000 5.766 0.000 0.000 0.000 3.832" Properties=species:S:1:pos:R:3 comment="GGA-PBE LiEu2Sc, relaxed" m_tot_mub_per_fu=14.8 sg="P4/mmm (123)" pbc="T T T"
Li 0.000 0.000 0.000
Eu 0.000 2.883 1.916
Eu 2.883 0.000 1.916
Sc 2.883 2.883 0.000



Relative to the most stable structure, the computed energies are P 0.000; Q 0.019, all in eV/atom.



P | 3
Lattice="5.626 0.000 0.000 -2.813 4.872 0.000 0.000 0.000 3.505" Properties=species:S:1:pos:R:3 comment="GGA-PBE LiSmEu, relaxed" m_tot_mub_per_fu=7.4 sg="P3m1 (156)" pbc="T T T"
Li 0.000 0.000 0.000
Sm 0.000 3.248 1.237
Eu 2.813 1.624 2.677



Q | 3
Lattice="-1.907 1.907 6.559 1.907 -1.907 6.559 1.907 1.907 -6.559" Properties=species:S:1:pos:R:3 comment="GGA-PBE LiSmEu, relaxed" m_tot_mub_per_fu=7.9 sg="I4mm (107)" pbc="T T T"
Li 0.000 0.000 0.000
Sm 0.000 0.000 8.437
Eu 0.000 0.000 4.512



Relative to the most stable structure, the computed energies are P 0.065; Q 0.000, all in eV/atom.



P | 4
Lattice="1.771 1.022 12.673 -1.771 1.022 12.673 0.000 -2.045 12.673" Properties=species:S:1:pos:R:3 comment="GGA-PBE LiSm2Eu, relaxed" m_tot_mub_per_fu=8.1 sg="R-3m (166)" pbc="T T T"
Li 0.000 0.000 0.000
Sm 0.000 0.000 3.275
Sm 0.000 0.000 34.744
Eu 0.000 0.000 19.010



Q | 4
Lattice="0.000 3.999 3.999 3.999 0.000 3.999 3.999 3.999 0.000" Properties=species:S:1:pos:R:3 comment="GGA-PBE LiSm2Eu, relaxed" m_tot_mub_per_fu=7.4 sg="Fm-3m (225)" pbc="T T T"
Li 0.000 0.000 0.000
Sm 1.999 1.999 1.999
Sm 5.998 5.998 5.998
Eu 3.999 3.999 3.999



Relative to the most stable structure, the computed energies are P 0.042; Q 0.000, all in eV/atom.



P | 4
Lattice="1.753 1.012 12.501 -1.753 1.012 12.501 0.000 -2.025 12.501" Properties=species:S:1:pos:R:3 comment="GGA-PBE LiTb2Eu, relaxed" m_tot_mub_per_fu=8.2 sg="R-3m (166)" pbc="T T T"
Li 0.000 0.000 0.000
Tb 0.000 0.000 3.229
Tb 0.000 0.000 34.272
Eu 0.000 0.000 18.751



Q | 4
“What we have done is to enable scheduled payments, making it very convenient for customers – so they can specify the minimum and maximum payment thresholds, and can also specify how often the system should check the outstanding bill amount.
“There is a benefit to customers and to DEWA – everyone will be happy. Everyone has to pay bills, and if you have to do it for the rest of your stay in Dubai, let us automate it. And it helps the government of course, because it means bills are collected on time.”
This innovative approach aimed at making life easier for the customer, whilst also ensuring that bills are collected on time, has also seen DEWA become the first utility company in the world to develop an application for Samsung’s Smart TVs. Styled similarly to the website and mobile applications, the service allows customers to check their DEWA bills, and browse DEWA updates from the comfort of their sofas.
Another example of developing technology that delivers a practical business benefit is the DEWA mobile application›s ability to allow customers to send a photograph when they see a water leak – automatically sending the coordinates of the leak so that DEWA can send technicians to the exact location to deal directly with the problem.